Thomas Pratt to Thomas Stonor
- Medieval Family Life
- Title
- Thomas Pratt to Thomas Stonor
- Reference
- SC 1/46/65
- Library / Archive
- The National Archives, UK
- Transcript location(s) in printed volume(s)
- Carpenter, 'Kingsford's Stonor Letters', item 105; Kingsford, Vol I, item 105
- Transcript from Christine Carpenter, 'Kingsford's Stonor Letters and Papers, 1290-1483'
[c. 1470]
Some indication of the date is given by the reference to William Marmyon,
who probably died about the end of 1473, see No. 135. Pratt may possibly
have been employed at Stonor and wrote this letter thence. But there is
nothing to show what "town" or "court" he refers to. From A.C., xlvi, 65.41Jhesus.
Ryзt reverent and moste wurchypffull Master, I recommend me unto
+++
Record 1
{
  "formula": "H72O36",
  "method": "wB97M-V/def2-TZVPD",
  "symbols": ["H", "O", "O", "O", "H", "O", "H", "H", "H", "O", "H", "H", "O", "O", "H", "H", "H", "O", "H", "H", "H", "H", "H", "H", "O", "O", "H", "H", "H", "O", "O", "H", "H", "H", "H", "H", "H", "O", "H", "H", "H", "H", "H", "H", "H", "O", "O", "H", "H", "H", "O", "H", "H", "O", "H", "H", "H", "O", "O", "H", "O", "H", "H", "H", "H", "O", "H", "O", "O", "O", "O", "O", "H", "H", "O", "O", "H", "H", "H", "O", "O", "O", "H", "O", "H", "H", "O", "H", "H", "H", "H", "H", "H", "H", "H", "H", "H", "H", "H", "H", "O", "O", "O", "H", "H", "H", "H", "H"],
+++
зow, desyryng to here of зowr welfare. My Mastres, yowr wyffe, recom–
mend her to зow, and sche ffaryth well and all зwr howsolde, blyssyd be
God. Furthermore, I have spokyn with my Master Wyllyam Marmyun,
and he hath spokyn with the Warden and with John Denyun, and as for
the nexte corte they hathe founde a wey pat ther schull no thyng be do,
yn so myche as ye be absent, and therffor ye schull nat dowt as for the
nexte corte, and my master wyll enduse them whan that they come that
they schull put all maner of maturs uppon xij wurchypfull men of the
same towne. And my Mastres hath sent yow yowr iij botelles be the
brynger of thys letter. No more to зow at thys tyme, but God have
зow, body and sowle, yn hys kepyng, Amen.Be зour servant and the Bedeman
Thomas Pratt.To my Ryзht reverent Master, Thomas Stonor,
thys Ire. be delyvered yn hast. - Transcript from Charles Lethbridge Kingsford, 'The Stonor Letters and Papers 1290-1483, Volume I'
[c. 1470]
Some indication of the date is given by the reference to William Marmyon,
who probably died about the end of 1473, see No. 135. Pratt may possibly
have been employed at Stonor and wrote this letter thence. But there is
nothing to show what “town” or “court” he refers to. From A.C., xlvi, 65.Jhesus.
RyЗt reverent and moste wurchypffull Master, I recommend me unto
Зow, desyryng to here of Зowr welfare. My Mastres, yowr wyffe, recom-
mend her to Зow, and sche ffaryth well and all Зowr howsolde, blyssyd be
God. Furthermore, I have spokyn with my Master Wyllyam Marmyun,
and he hath spokyn with the Warden and with John Denyun, and as for
the nexte corte they hathe founde a wey þat ther schull no thyng be do,
yn so myche as ye be absent, and therffor ye schull nat dowt as for the
nexte corte, and my master wyll enduse them whan that they come that
they schull put all maner of maturs uppon xij wurchypfull men of the
same towne. And my Mastres hath sent yow yowr iij botelles be the
brynger of thys letter. No more to Зow at thys tyme, but God have
Зow, body and sowle, yn hys kepyng, Amen.Be Зour servant and the Bedeman
Thomas Pratt.
To my RyЗht reverent Master, Thomas Stonor,
thys Ire. be delyvered yn hast.